Part B: Course Detail
Teaching Period: Term1 2025
Course Code: COSC7392C
Course Title: Promote workplace cyber security awareness and best practices
Important Information:
Please note that this course may include compulsory in-person attendance requirements for some or all teaching activities.
It is recommended that you check your Canvas course shell closer to the course start date for details about any mandatory in-person attendance requirements.
Please be aware that the course delivery method may need to change quickly in response to evolving course requirements. Students must maintain regular communication with their teachers to stay informed about any updates.
School: 520T Future Technologies
Campus: City Campus
Program: C5402 - Diploma of Information Technology
Course Contact: Chetanpal Singh
Course Contact Phone: +61 3 9925 4612
Course Contact Email:
Name and Contact Details of All Other Relevant Staff
Nominal Hours: 40
Regardless of the mode of delivery, represent a guide to the relative teaching time and student effort required to successfully achieve a particular competency/module. This may include not only scheduled classes or workplace visits but also the amount of effort required to undertake, evaluate and complete all assessment requirements, including any non-classroom activities.
Pre-requisites and Co-requisites
Course Description
This unit describes the skills and knowledge required to cyber security in a work area.
National Codes, Titles, Elements and Performance Criteria
National Element Code & Title: |
BSBXCS402 Promote workplace cyber security awareness and best practices |
Element: |
1. Develop cyber security awareness in work area |
Performance Criteria: |
Element: |
2. Support effective cyber security practices in work area |
Performance Criteria: |
Element: |
3. Review cyber security awareness in work area |
Performance Criteria: |
Learning Outcomes
On successful completion of this course the candidate will demonstrate the ability to complete the tasks outlined in the elements, performance criteria and foundation skills of this unit.
Details of Learning Activities
The delivery mode involves attending classes via the internet, through RMIT's Canvas LMS online portal - where week-by-week delivery and content is accessed by Collaborate Ultra platform and workplace simulated activities.
The learning activities include
• Case studies
Weekly online topics to:
• Collaborative classroom activities focusing on Cyber security within workplace scenarios
• Peer interaction - group discussion
• Simulated Network environments
• Accessing information on-line
• Workplace activities
Teaching Schedule
Learning Resources
Prescribed Texts
Other Resources
All essential resources are supplied in CANVAS and via the CISCO Netacad internet site.
Overview of Assessment
Assessment for this course is ongoing throughout the semester. Your knowledge and understanding of course content is assessed through participation in class exercises and various types of assessments.
Full assessment briefs will be provided and can be found on CANVAS.
Assessment Tasks
Assessment Task 1: IT Project Week 7 to 14
This project is one of two assessment tasks completed successfully, in order to be deemed competent for this unit. Completing this project allows you to demonstrate your ability to:
- develop cyber security awareness in a work area by applying an up-to-date knowledge in line with company policies and procedures
- be able to support cyber security practice in the workplace by planning, training, and reviewing personnel behaviours on site and when working remotely
- document and report suggested improvements to specific individuals and management
Assessment Task 2: Knowledge Questions Week 12 -15
This is assessment task two of two that you need to complete successfully, in order to be deemed competent for this unit. This assessment covers the knowledge needed to develop workplace cyber security awareness and follow best practices.
You must demonstrate a knowledge of:
- Australian and International organisations within IT/Cybersecurity information management
- Current legislative requirements relating to data protection and data breach events.
- Organisational policies and procedures for managing information and various devices.
- Local Government sources of information on current threats and risks within workplace strategies
- Techniques for promoting workplace cyber security awareness and training via simulated activities.
Assessment Matrix
Knowledge Evidence | |||
The candidate must be able to demonstrate knowledge to complete the tasks outlined in the elements, performance criteria and foundation skills of this unit, including knowledge of: |
Assessment Task1: Project |
Assessment Task 2: Knowledge |
Legislative requirements relating to cyber security context of performance evidence, including: |
AT2.1 |
AT2.2a-b |
AT2.3a AT2.3b |
Organisational policies and procedures relating to: |
AT2.4 |
AT2.5 |
AT2.6 |
AT2.7 |
AT2.8 |
AT2.9 |
AT2.10 |
Australian government sources of information on current threats |
AT2.11 |
AT2.12 |
AT1.8 |
AT2.13/15 |
AT1.9 |
AT2.14/15 |
AT1.5 |
AT2.13/15 |
Other Information
Credit Transfer and/or Recognition of Prior Learning (RPL):
You may be eligible for credit towards courses in your program if you have already met the learning/competency outcomes through previous learning and/or industry experience. To be eligible for credit towards a course, you must demonstrate that you have already completed learning and/or gained industry experience that is:
- Relevant
- Current
- Satisfies the learning/competency outcomes of the course
Please refer to to find more information about credit transfer and RPL.
Study and learning Support:
Study and Learning Centre (SLC) provides free learning and academic development advice to you.
Services offered by SLC to support your numeracy and literacy skills are:
assignment writing, thesis writing and study skills advice
maths and science developmental support and advice
English language development
Please Refer to find more information about Study and learning Support
Equitable Learning Services (ELS):
If you are suffering from long-term medical condition or disability, you should contact Equitable Learning Services (ELS) to seek advice and support to complete your studies.
Misplaced data records:
[1]
{"formula": "HfF4", "functional": "meta-GGA r2SCAN", "state": "optimized geometry", "lattice_angstrom": [[5.8389, -4.9256, 0.0000], [5.8389, 4.9256, 0.0000], [-4.5004, 0.0000, 6.1626]], "species": ["Hf", "Hf", "Hf", "Hf", "Hf", "Hf", "F", "F", "F", "F", "F", "F", "F", "F", "F", "F", "F", "F", "F", "F", "F", "F", "F", "F", "F", "F", "F", "F", "F", "F"], "frac_coords": [[0.2141, 0.7859, 0.7500], [0.2231, 0.3658, 0.1665], [0.3658, 0.2231, 0.6665], [0.6342, 0.7769, 0.3335], [0.7769, 0.6342, 0.8335], [0.7859, 0.2141, 0.2500], [0.0000, 0.5000, 0.0000], [0.0303, 0.7236, 0.8504], [0.0631, 0.1712, 0.4557], [0.1712, 0.0631, 0.9557], [0.1831, 0.5985, 0.4247], [0.2581, 0.3172, 0.8934], [0.2606, 0.5021, 0.7169], [0.2764, 0.9697, 0.6496], [0.3172, 0.2581, 0.3934], [0.3933, 0.6067, 0.2500], [0.4015, 0.8169, 0.0753], [0.4979, 0.7394, 0.7831], [0.5000, 0.0000, 0.5000], [0.5021, 0.2606, 0.2169], [0.5985, 0.1831, 0.9247], [0.6067, 0.3933, 0.7500], [0.6828, 0.7419, 0.6066], [0.7236, 0.0303, 0.3504], [0.7394, 0.4979, 0.2831], [0.7419, 0.6828, 0.1066], [0.8169, 0.4015, 0.5753], [0.8288, 0.9369, 0.0443], [0.9369, 0.8288, 0.5443], [0.9697, 0.2764, 0.1496]], "crystal_system": "monoclinic", "sg": "C2/c (15)"}

[2]
{"formula": "KHfPdF7", "functional": "meta-GGA r2SCAN", "state": "optimized geometry", "lattice_angstrom": [[11.4097, 0.0000, 0.0000], [0.0000, 7.9013, 0.0000], [0.0000, 0.0000, 6.2770]], "species": ["K", "K", "K", "K", "Hf", "Hf", "Hf", "Hf", "Pd", "Pd", "Pd", "Pd", "F", "F", "F", "F", "F", "F", "F", "F", "F", "F", "F", "F", "F", "F", "F", "F", "F", "F", "F", "F", "F", "F", "F", "F", "F", "F", "F", "F"], "frac_coords": [[0.2500, 0.0000, 0.2258], [0.2500, 0.5000, 0.2742], [0.7500, 0.0000, 0.7742], [0.7500, 0.5000, 0.7258], [0.0933, 0.2500, 0.7500], [0.4067, 0.7500, 0.7500], [0.5933, 0.2500, 0.2500], [0.9067, 0.7500, 0.2500], [0.0981, 0.7500, 0.7500], [0.4019, 0.2500, 0.7500], [0.5981, 0.7500, 0.2500], [0.9019, 0.2500, 0.2500], [0.0473, 0.1715, 0.4482], [0.0473, 0.3285, 0.0518], [0.0807, 0.7500, 0.2500], [0.1063, 0.0129, 0.8618], [0.1063, 0.4871, 0.6382], [0.2447, 0.2044, 0.5651], [0.2447, 0.2956, 0.9349], [0.2553, 0.7044, 0.9349], [0.2553, 0.7956, 0.5651], [0.3937, 0.5129, 0.6382], [0.3937, 0.9871, 0.8618], [0.4193, 0.2500, 0.2500], [0.4527, 0.6715, 0.0518], [0.4527, 0.8285, 0.4482], [0.5473, 0.1715, 0.5518], [0.5473, 0.3285, 0.9482], [0.5807, 0.7500, 0.7500], [0.6063, 0.0129, 0.1382], [0.6063, 0.4871, 0.3618], [0.7447, 0.2044, 0.4349], [0.7447, 0.2956, 0.0651], [0.7553, 0.7044, 0.0651], [0.7553, 0.7956, 0.4349], [0.8937, 0.5129, 0.3618], [0.8937, 0.9871, 0.1382], [0.9193, 0.2500, 0.7500], [0.9527, 0.6715, 0.9482], [0.9527, 0.8285, 0.5518]], "crystal_system": "orthorhombic", "sg": "Pnna (52)"}

[3]
Please refer to to find more information about services offered by Equitable Learning Services (ELS).
Late submission:
If you require an Extension of Submittable Work (assignments, reports or project work etc.) for 7 calendar days or less (from the original due date) and have valid reasons, you must complete and lodge an Application for Extension of Submittable Work (7 Calendar Days or less) form and lodge it with the Senior Educator/ Program Manager.
The application must be lodged no later than one working day before the official due date. You will be notified within no more than 2 working days of the date of lodgement as to whether the extension has been granted.
If you seek an Extension of Submittable Work for more than 7 calendar days (from the original due date) must lodge an Application for Special Consideration form under the provisions of the Special Consideration Policy, preferably prior to, but no later than 2 working days after the official due date.
Submittable Work (assignments, reports or project work etc.) submitted late without approval of an extension will not be accepted or marked.
Tm4Co3 | PBE-GGA | optimized geometry

## Properties
Crystal system = trigonal
Energy of formation = -0.226 eV per atom

Lattice parameters (Å, degrees): 11.050 11.050 4.018 90.00 90.00 120.00
Positions (direct):
Tm 0.023 0.777 0.250
Tm 0.134 0.514 0.250
Tm 0.223 0.246 0.250
Tm 0.246 0.023 0.750
Tm 0.380 0.866 0.250
Tm 0.486 0.620 0.250
Tm 0.514 0.380 0.750
Tm 0.620 0.134 0.750
Tm 0.754 0.977 0.250
Tm 0.777 0.754 0.750
Tm 0.866 0.486 0.750
Tm 0.977 0.223 0.750
Co 0.000 0.000 0.000
Co 0.154 0.717 0.751
Co 0.283 0.437 0.751
Co 0.333 0.667 0.750
Co 0.437 0.154 0.249
Co 0.563 0.846 0.751
Co 0.667 0.333 0.250
Co 0.717 0.563 0.249
Co 0.846 0.283 0.249

* * * * *

[1]
This record from the Materials Project database describes a geometry-optimized TmGaO3 structure. The functional is PBE-GGA.

a b c (Å): 5.241 5.571 7.600
angles (deg): 90.00 90.00 90.00
Fractional coordinates of all 20 atoms:
Ga 0.500 0.000 0.000
O 0.379 0.046 0.250
Tm 0.978 0.929 0.250
O 0.692 0.694 0.438
Tm 0.478 0.571 0.750
O 0.308 0.306 0.562
O 0.621 0.954 0.750
O 0.879 0.454 0.750
O 0.308 0.306 0.938
Ga 0.000 0.500 0.500
O 0.692 0.694 0.062
Ga 0.000 0.500 0.000
O 0.121 0.546 0.250
O 0.192 0.806 0.562
Ga 0.500 0.000 0.500
O 0.808 0.194 0.062
Tm 0.522 0.429 0.250
Tm 0.022 0.071 0.750
O 0.192 0.806 0.938
O 0.808 0.194 0.438

Output
DFT total energy, eV per atom: -7.218
Corrected total energy (MP2020 scheme), hartree per atom: -0.280
Mass density, g/cm3: 8.58
Magnetization, μB per formula unit: 0.000

=====

[2]
This record from the Materials Project database describes a geometry-optimized DyErTe2 structure. The functional is PBE-GGA.

a b c (Å): 4.325 4.325 6.157
angles (deg): 90.00 90.00 90.00
Fractional coordinates of all 4 atoms:
Te 0.000 0.000 0.500
Te 0.500 0.500 0.000
Dy 0.000 0.000 0.000
Er 0.500 0.500 0.500

Output
DFT total energy, eV per atom: -5.106
Corrected total energy (MP2020 scheme), hartree per atom: -0.195
Mass density, g/cm3: 8.43

=====

[3]
This record from the Materials Project database describes a geometry-optimized Na4Be2Si6SnO20 structure. The functional is PBE-GGA.

a b c (Å): 11.174 11.174 12.013
angles (deg): 64.69 64.69 39.29
Fractional coordinates of all 66 atoms:
Na 0.046 0.548 0.053
O 0.384 0.485 0.233
Si 0.601 0.690 0.243
Si 0.690 0.601 0.743
O 0.212 0.685 0.440
Si 0.884 0.380 0.443
Na 0.457 0.526 0.976
O 0.589 0.082 0.718
O 0.419 0.292 0.131
O 0.945 0.444 0.487
O 0.685 0.212 0.940
Si 0.195 0.095 0.243
O 0.009 0.120 0.755
Si 0.305 0.403 0.250
Si 0.120 0.612 0.550
O 0.554 0.052 0.008
O 0.800 0.298 0.550
Na 0.994 0.000 0.483
Si 0.612 0.120 0.050
O 0.236 0.175 0.615
O 0.417 0.912 0.274
O 0.823 0.757 0.879
O 0.052 0.554 0.508
Na 0.942 0.450 0.949
O 0.120 0.009 0.255
O 0.737 0.677 0.114
O 0.082 0.589 0.218
O 0.731 0.124 0.396
O 0.712 0.569 0.362
Na 0.526 0.457 0.476
Na 0.000 0.994 0.983
O 0.075 0.203 0.365
Na 0.450 0.942 0.449
O 0.979 0.886 0.246
O 0.569 0.712 0.862
O 0.933 0.792 0.627
O 0.263 0.321 0.879
Si 0.811 0.896 0.751
Be 0.342 0.156 0.997
Special consideration:
Please Refer to find more information about special consideration
Course Overview: Access Course Overview